Thoughts I Want To Share / Your Opinions?
Why is it that some people always want to trash a race? For example, it seems that everyone wants to bash why this horse, say horse x, should have won easily over a field. Why is it necessary to focus on the horses that got beat versus focusing on the horse that won? He/She beat a crap field, junk, claimers at best. That horse should have never won, what a joke.
My thought on this is this. I was talking just now on the phone to a buddy of mine who trains here at Beulah Park and sends horses to Thistle, River etc as well. So if you wanna bash this guy because he sends out horses to these bottom rung tracks, save it for someplace else cause you have beat that drum already. He is my friend, and I respect this man who is in his 70's and loves his horses under his care. He is my friend. Anyways, he brought up a point that he has said time and time again. He says Curt, when they load them in the gate you don't know what that horse truly feels like. When they open that gate you don't know. They give you subtle signs, and you can tell when something is not right, but many a time a horse just is not a machine that gamblers make them out to be. Always remember, he says to me, that a horse is not much different then you or I. We have good days and bad ones. Then he finally says that you can spend hours upon hours analyzing PP's and this and that until you are blue in the face. You will find a gem in the rough, and you will score many a great hit. But what those PP's and other things don't tell you is the most important handicapping tool you can use. How does that horse feel today. I am trying to be a dilligent Post Parade wacher, but when you are betting Pick 3's you can't. Your thoughts? |
To sum up, I think sometimes that people put too much into PP's and overanalyze a Race. I think I'll just glane, look over a few numbers, and slam it together from here on out. If I spend more then 15/20 minutes on a race I get a headache anyways. I would rather watch the Food Channel, Golf, or The History Channel then spend an entire night going thru PP's.
Am I off base here? Am I alone in this thinking? Is all that booze I have been drinking killing my brain cells? |
It's the booze.....
"step away from the keyboard Mr. Price.....NOW!!!" |
I am really po'ed. It is raining now. Not lookin good right now.
That was a copy and paste from the 2007 USGA Decisions Book. |
Rain is movin on. Might be alright. Curt needs a fix. |
Your friend gave you some sound advice. Nobody knows how a horse is going to "feel" from day to day. The only thing I'd add (and it won't work for P3's and more) is to go to the paddock between each race. Post parades won't show you nearly as much. Hope this helps. DTS |
_These materials data were left in the entry by mistake_
<<<
A plane-wave DFT calculation with PBE was carried out for NaSr4H10 after structural relaxation.

abc: 15.408 15.408 15.408
angles: 15.33 15.33 15.33
Positions (direct):
Na: 0.000 0.000 0.000
Sr: 0.204 0.204 0.204
Sr: 0.388 0.388 0.388
Sr: 0.612 0.612 0.612
Sr: 0.796 0.796 0.796
H: 0.047 0.047 0.047
H: 0.148 0.148 0.148
H: 0.257 0.257 0.257
H: 0.323 0.323 0.323
H: 0.445 0.445 0.445
H: 0.555 0.555 0.555
H: 0.677 0.677 0.677
H: 0.743 0.743 0.743
H: 0.852 0.852 0.852
H: 0.953 0.953 0.953

---

A plane-wave DFT calculation with PBE was carried out for Hf5Ti3H12 after structural relaxation.

abc: 9.942 9.942 9.942
angles: 109.47 109.47 109.47
Positions (direct):
Hf: 0.000 0.000 0.000
Hf: 0.000 0.000 0.500
Hf: 0.000 0.500 0.000
Hf: 0.000 0.500 0.500
Hf: 0.125 0.750 0.875
Hf: 0.125 0.875 0.250
Hf: 0.250 0.125 0.875
Hf: 0.250 0.625 0.375
Hf: 0.375 0.250 0.625
Hf: 0.375 0.625 0.750
Hf: 0.500 0.000 0.000
Hf: 0.500 0.000 0.500
Hf: 0.500 0.500 0.000
Hf: 0.500 0.500 0.500
Hf: 0.625 0.375 0.250
Hf: 0.625 0.750 0.375
Hf: 0.750 0.375 0.625
Hf: 0.750 0.875 0.125
Hf: 0.875 0.125 0.750
Hf: 0.875 0.250 0.125
Ti: 0.125 0.250 0.375
Ti: 0.125 0.375 0.750
Ti: 0.250 0.375 0.125
Ti: 0.250 0.875 0.625
Ti: 0.375 0.125 0.250
Ti: 0.375 0.750 0.125
Ti: 0.625 0.250 0.875
Ti: 0.625 0.875 0.750
Ti: 0.750 0.125 0.375
Ti: 0.750 0.625 0.875
Ti: 0.875 0.625 0.250
Ti: 0.875 0.750 0.625
H: 0.070 0.729 0.655
H: 0.070 0.841 0.415
H: 0.074 0.229 0.159
H: 0.074 0.345 0.915
H: 0.085 0.659 0.430
H: 0.085 0.926 0.655
H: 0.155 0.229 0.570
H: 0.155 0.426 0.585
H: 0.159 0.074 0.229
H: 0.159 0.585 0.930
H: 0.229 0.159 0.074
H: 0.229 0.570 0.155
H: 0.271 0.345 0.930
H: 0.271 0.426 0.341
H: 0.341 0.271 0.426
H: 0.341 0.570 0.915
H: 0.345 0.915 0.074
H: 0.345 0.930 0.271
H: 0.415 0.070 0.841
H: 0.415 0.845 0.574
H: 0.426 0.341 0.271
H: 0.426 0.585 0.155
H: 0.430 0.085 0.659
H: 0.430 0.845 0.771
H: 0.570 0.155 0.229
H: 0.570 0.915 0.341
H: 0.574 0.415 0.845
H: 0.574 0.659 0.729
H: 0.585 0.155 0.426
H: 0.585 0.930 0.159
H: 0.655 0.070 0.729
H: 0.655 0.085 0.926
H: 0.659 0.430 0.085
H: 0.659 0.729 0.574
H: 0.729 0.574 0.659
H: 0.729 0.655 0.070
H: 0.771 0.430 0.845
H: 0.771 0.841 0.926
H: 0.841 0.415 0.070
H: 0.841 0.926 0.771
H: 0.845 0.574 0.415
H: 0.845 0.771 0.430
H: 0.915 0.074 0.345
H: 0.915 0.341 0.570
H: 0.926 0.655 0.085
H: 0.926 0.771 0.841
H: 0.930 0.159 0.585
H: 0.930 0.271 0.345

---

A plane-wave DFT calculation with PBE was carried out for Y2Zr2Ge after structural relaxation.

abc: 7.293 7.293 4.839
angles: 90.00 90.00 90.00
Positions (direct):
Y: 0.160 0.340 0.000
Y: 0.340 0.840 0.000
Y: 0.660 0.160 0.000
Y: 0.840 0.660 0.000
Zr: 0.145 0.645 0.500
Zr: 0.355 0.145 0.500
Zr: 0.645 0.855 0.500
Zr: 0.855 0.355 0.500
Ge: 0.000 0.000 0.500
Ge: 0.500 0.500 0.500

Values from the calculation:
Formation enthalpy at 0 K in kJ/mol of atoms: -14.56

---

A plane-wave DFT calculation with PBE was carried out for Tl8TeSe3 after structural relaxation.

abc: 8.125 8.125 8.125
angles: 67.02 67.02 67.02
>>>
There's numerous reasons why a horse won't win, but you are also rewarded for those reasons through the mutual pool. I love the sport and I like to bet, I have had my best year ever this through the windows, but I have not placed a bet since the first weekend of Saratoga. I have had several very large unexpected bills to pay recently and I paid those off with the winnings, but I am not dipping into savings to play, so I'll sit out and get ready for the Breeders Cup. I want to have a bankroll of about $2000 for the BC, so I'll wait. I guess I am lucky, some people need the "fix" or "juice", I have never said either of those words, I don't look down on somebody that does, because I believe people get addicted to the rush of gambling. My dad always said there's nothing wrong with gambling, if you do it for fun, he always said we never went without, because of his gambling and that's true.
Your dad was right. Mine just said, don't gamble more than you can afford to lose, whether it's stocks, horses, poker or anything that takes risk. And remember, without risk, there is no gain. |